Review: elementary OS 8.0
Quoting: Put the fun back into computing. Use Linux, BSD. —
Let's talk about some of the aspects of elementary OS I liked. For me, the main draw of elementary is the combination of pretty desktop and simple applications. This is not ideal for me, personally, but I think the distribution is one I could show to people coming from other operating systems (especially macOS) and they'd be able to pick it up quickly. The applications are named based on their task (Web, Mail, Music, and Calendar), there are not a lot of options, settings, or menus immediately visible in most applications. It's a bit like running GNOME, but more streamlined and with better performance. It's not the sort of experience which appeals to me, but it is the sort of experience I think will appeal to my non-techie friends and family. I like that this approach exists for newcomers.
The main downside for me was the weird way in which software is managed on the system. It is the one aspect which is unusually complex, especially compared with other beginner-friendly distributions such as Linux Mint. On Mint there is one software centre for adding and removing applications and one update manager that, well, handles updates. elementary OS introduces the concept of official elementary applications (which all seem to be pulled from Flathub) along with unofficial "sideloaded" applications which also appear to all come from Flathub. The waters are further clouded by the system separating the "base OS" updates from applications. I think, in this instance, "base OS" refers to anything installed from a classic Deb package. And then there is another application for fetching drivers. In total, there are at least four different categories of packages (based on how elementary organizes them), but all the software can be managed using just two tools (AppCentre and APT). It just seems unnecessarily complicated with no benefit and at odds with the design of the rest of the distribution.
Records of crystals, as found in the file =
'''
1.
DFT (PBE) results for a geometry-optimized Hf3SbSe structure.

a = 4.9384 Å, b = 4.9384 Å, c = 4.9384 Å
α = 90.00°, β = 90.00°, γ = 90.00°
Last column: nearest neighbours and their distance in Å.
Fractional coordinates of all 5 atoms:
Se: 0.0000 0.0000 0.0000  6 Hf 2.47
Hf: 0.0000 0.5000 0.0000  2 Se 2.47
Hf: 0.0000 0.0000 0.5000  2 Se 2.47
Hf: 0.5000 0.0000 0.0000  2 Se 2.47
Sb: 0.5000 0.5000 0.5000  12 Hf 3.49

Summary:
Energy relative to the elements, uncorrected in eV per atom: 0.149
ΔE to the lowest computed polymorph in meV/atom: 522
Total energy in eV/atom: -7.34
V in Å³/f.u.: 120.4

2.
DFT (PBE) results for a geometry-optimized HfSiSb2Se structure.

a = 5.5853 Å, b = 4.9834 Å, c = 5.5853 Å
α = 90.00°, β = 90.00°, γ = 90.00°
Last column: nearest neighbours and their distance in Å.
Fractional coordinates of all 5 atoms:
Sb: 0.5000 0.0000 0.0000  2 Hf 2.79
Sb: 0.0000 0.0000 0.5000  2 Hf 2.79
Se: 0.0000 0.5000 0.0000  2 Hf 2.49
Si: 0.5000 0.5000 0.5000  8 Sb 3.74, 4 Se 3.95
Hf: 0.0000 0.0000 0.0000  2 Se 2.49

Summary:
Energy relative to the elements, uncorrected in eV per atom: 0.463
Total energy in eV/atom: -4.96
V in Å³/f.u.: 155.5

3.
DFT (PBE) results for a geometry-optimized HfSiSbSe2 structure.

a = 5.1651 Å, b = 5.0606 Å, c = 5.1651 Å
α = 90.00°, β = 90.00°, γ = 90.00°
Last column: nearest neighbours and their distance in Å.
Fractional coordinates of all 5 atoms:
Sb: 0.0000 0.0000 0.0000  2 Si 2.53, 4 Se 2.58
Hf: 0.5000 0.5000 0.5000  8 Se 3.62, 4 Si 3.65
Si: 0.0000 0.5000 0.0000  2 Sb 2.53
Se: 0.0000 0.0000 0.5000  2 Sb 2.58
Se: 0.5000 0.0000 0.0000  2 Sb 2.58

Summary:
Energy relative to the elements, uncorrected in eV per atom: 0.886
Total energy in eV/atom: -4.41
V in Å³/f.u.: 135.0

4.
DFT (PBE) results for a geometry-optimized HfSbTe2Se structure.

a = 5.4166 Å, b = 5.4166 Å, c = 5.6646 Å
α = 90.00°, β = 90.00°, γ = 90.00°
Last column: nearest neighbours and their distance in Å.
Fractional coordinates of all 5 atoms:
Se: 0.5000 0.5000 0.5000  4 Sb 3.83, 8 Te 3.92
Sb: 0.0000 0.0000 0.5000  2 Hf 2.83
Te: 0.5000 0.0000 0.0000  2 Hf 2.71
Te: 0.0000 0.5000 0.0000  2 Hf 2.71
Hf: 0.0000 0.0000 0.0000  4 Te 2.71, 2 Sb 2.83

Summary:
Energy relative to the elements, uncorrected in eV per atom: 0.247
ΔE to the lowest computed polymorph in meV/atom: 0
Total energy in eV/atom: -4.52
V in Å³/f.u.: 166.2

~~~~~

1.
{"formula": "Pa2SeI", "functional": "PBE-GGA", "state": "optimized geometry", "magnetic_moment_mub_per_fu": 2.68, "formation_energy_uncorrected_ev_per_atom": -0.385, "dos_ef_per_ev_atom": 2.261, "space_group": "Fm-3m, No. 225", "rho_g_cm3": 11.251, "energy_ev_per_atom": -6.392, "cell": [[0.0000, 3.6666, 3.6666], [3.6666, 0.0000, 3.6666], [3.6666, 3.6666, 0.0000]], "species": ["Pa", "Pa", "Se", "I"], "frac_coords": [[0.2500, 0.2500, 0.2500], [0.7500, 0.7500, 0.7500], [0.0000, 0.0000, 0.0000], [0.5000, 0.5000, 0.5000]]}


2.
'''
The other downside to running elementary is a bit more abstract. There are a lot of ways people can categorize Linux distributions: commercial vs community, KISS vs automated, full-featured vs minimal, RPM vs Deb, etc. In my mind there is a distinction that I rarely see discussed in Linux circles: projects where the developers use and design their software vs projects where the developers create the software for others to use. (In technology circles, organizations which use their own software are said to be "eating their own dog food" or "dog fooding".)